Jada'sJellyBeans T-shirt Fundraiser
Donate $15 or more, and we'll provide you with your very own Jada's Jelly Beans t-shirt and you’ll be entered into a drawing for a family photo shoot session in the DFW area (valued at well over $250) courtesy of Kristin Taylor Photography (www.kristintaylorphotography.com)
Please make sure to include your information with your donation and if you'd like to receive a shirt.
>> Leave your FULL NAME, MAILING ADDRESS, SHIRT SIZE and EMAIL ADDRESS in the *anonymous* comment box when you donate. We will have no way of knowing who you are if you do not include this info. If you would like to give an extra donation, you can include that in your amount!
Last year Jada's Jelly Beans raised and donated $4000* to the Juvenile Diabetes Research Foundation (JDRF) through Walk team donations and contributions from Jada's Jelly Beans T's. This year let's top last year's donations!
This is a fabulous way for you to show your support for Jada while also benefiting the JDRF Fort Worth One Walk scheduled for Saturday, Oct 13, 2018 at Panther Island. This year's 2018 t-shirts will include a vibrantly colored BLUE shirt with a PINK "Jada's Jelly Bean" on the front.
These will come ADULT ( S, M, L, XL, XXL)
Short Sleeve
- $15
or more
*Thomson Reuters Matching Gifts program will match(double) our JDRF donation up to $1000.
Own a business or work for a company that looks for groups to sponsor? We'd love to promote your business. Action Required: Send an email inquiry and your vectored logo before September 1, 2018 to [email redacted]
Want to join our Jada's Jelly Beans JDRF One Walk Team or donate directly to JDRF? - https://www2.jdrf.org/site/TR/Walk/GreaterFortWorthArlingtonChapter4633?team_id=257063&pg=team&fr_id=7441
For more information on how you can be a part of Jada's Jelly Beans or if you'd like to see photos from previous years, visit JADAHOWARD.COM or like us on FaceBook at https://www.facebook.com/jadasjellybeans/

The article is interrupted by materials data
********
No. 1
Structure and calculated powder X-ray diffraction pattern of Li2TeF6 (DFT lattice parameters and positions (PBE); copper Kα).
Neutral-atom scattering factors, no anomalous dispersion.

Crystal structure
Unit cell a=9.1755 b=9.1755 c=4.7508 alpha=90.00 beta=90.00 gamma=120.00
Sites, in units of the cell vectors:
1 Li 0.0000 0.3494 0.0000
2 Li 0.0000 0.6506 0.0000
3 Li 0.3494 0.0000 0.0000
4 Li 0.3494 0.3494 0.0000
5 Li 0.6506 0.0000 0.0000
6 Li 0.6506 0.6506 0.0000
7 Te 0.0000 0.0000 0.0000
8 Te 0.3333 0.6667 0.5107
9 Te 0.6667 0.3333 0.4893
10 F 0.1058 0.5529 0.7607
11 F 0.1162 0.2323 0.7929
12 F 0.1162 0.8838 0.7929
13 F 0.2301 0.4602 0.2495
14 F 0.2301 0.7699 0.2495
15 F 0.2323 0.1162 0.2071
16 F 0.4471 0.5529 0.7607
17 F 0.4471 0.8942 0.7607
18 F 0.4602 0.2301 0.7505
19 F 0.5398 0.7699 0.2495
20 F 0.5529 0.1058 0.2393
21 F 0.5529 0.4471 0.2393
22 F 0.7677 0.8838 0.7929
23 F 0.7699 0.2301 0.7505
24 F 0.7699 0.5398 0.7505
25 F 0.8838 0.1162 0.2071
26 F 0.8838 0.7677 0.2071
27 F 0.8942 0.4471 0.2393

Peak list (12 most intense, 2θ from 5° to 70°, in order of falling intensity)
2θ 19.35, I 100
2θ 21.80, I 81
2θ 35.36, I 38
2θ 51.69, I 35
2θ 29.30, I 35
2θ 38.93, I 26
2θ 42.87, I 25
2θ 66.79, I 22
2θ 45.36, I 20
2θ 60.55, I 17
2θ 39.28, I 16
2θ 53.87, I 15

---

No. 2
Structure and calculated powder X-ray diffraction pattern of LiThF5 (DFT lattice parameters and positions (PBE); copper Kα).
Neutral-atom scattering factors, no anomalous dispersion.

Crystal structure
Unit cell a=11.2653 b=11.2653 c=11.2653 alpha=95.05 beta=95.05 gamma=145.48
Sites, in units of the cell vectors:
1 Li 0.1638 0.0596 0.2670
2 Li 0.2926 0.8968 0.2330
3 Li 0.3968 0.6638 0.6042
4 Li 0.4404 0.2074 0.1042
5 Li 0.5596 0.7926 0.8958
6 Li 0.6032 0.3362 0.3958
7 Li 0.7074 0.1032 0.7670
8 Li 0.8362 0.9404 0.7330
9 Th 0.1874 0.6924 0.8828
10 Th 0.1924 0.8096 0.5050
11 Th 0.1953 0.3126 0.0050
12 Th 0.3096 0.3047 0.6172
13 Th 0.6904 0.6953 0.3828
14 Th 0.8047 0.6874 0.9950
15 Th 0.8076 0.1904 0.4950
16 Th 0.8126 0.3076 0.1172
17 F 0.0335 0.6090 0.2911
18 F 0.0383 0.0648 0.1150
19 F 0.0425 0.3379 0.1107
20 F 0.0871 0.0726 0.4103
21 F 0.1090 0.3179 0.5755
22 F 0.1513 0.9316 0.1209
23 F 0.1623 0.6768 0.0897
24 F 0.1621 0.7728 0.7046
25 F 0.1768 0.5871 0.5145
26 F 0.1821 0.2576 0.7911
27 F 0.2424 0.5335 0.9245
28 F 0.2728 0.0682 0.6107
29 F 0.3107 0.0304 0.3791
30 F 0.4233 0.5383 0.4735
31 F 0.4274 0.3377 0.0145
32 F 0.4318 0.5425 0.2046
33 F 0.4316 0.8107 0.7803
34 F 0.4352 0.0502 0.9735
35 F 0.4498 0.9233 0.3850
36 F 0.4696 0.3487 0.2803
37 F 0.5304 0.6513 0.7197
38 F 0.5502 0.0767 0.6150
39 F 0.5648 0.9498 0.0265
40 F 0.5684 0.1893 0.2197
41 F 0.5682 0.4575 0.7954
42 F 0.5726 0.6623 0.9855
43 F 0.5767 0.4617 0.5265
44 F 0.6893 0.9696 0.6209
45 F 0.7272 0.9318 0.3893
46 F 0.7576 0.4665 0.0755
47 F 0.8179 0.7424 0.2089
48 F 0.8232 0.4129 0.4855
49 F 0.8379 0.2272 0.2954
50 F 0.8377 0.3232 0.9103
51 F 0.8487 0.0684 0.8791
52 F 0.8910 0.6821 0.4245
53 F 0.9129 0.9274 0.5897
********

About Jada and T1D
Jada, a Heritage Middle School Highstepper dancer and scholar at Heritage Middle School, and her family were diagnosed with T1D the last week of 2nd grade. Her last days of 2nd grade were spent in the hospital. She missed her 2nd grade awards ceremony, but with the love and support of visits from family and friends she was able to feel apart of it all. After 3 days in the hospital, Jada was able to make the last day of school and was then able to be with all of her friends and see them off before the summer.
T1D, also known as type 1 diabetes, is a rare auto immune condition that REQUIRES Jada to perform 10+ needle pokes (we're hoping to get a Dexcom G6 pending the cost and time dealing with health insurance) to her fingers EVERY day to measure her glucose (blood sugar) levels to ensure she is in the correct range.

For Jada glucose (HIGHS) over 200 are REAL trouble and may include extreme thirst, vomiting, severe headaches and pain, comma and at worst the d-word :(. Glucose numbers under 80 (LOWS) spell REAL trouble also and may include a loss of consciousness, increased heart rate, comma and at worst .. yeah the d-word :(.
On top of everything else, Jada must perform complicated math calculations EVERY DAY and for EVERY meal to determine the ratio of insulin she must give herself. She MUST calculate the exact amount of insulin via a complicated math formula ratio, and then inject insulin EVERY time (via an OmniPod or a needle) into her body, just as millions of others with T1D do to live.

T1D has been a real life changer for Jada. Her pancreas completely lost it's ability to produce natural insulin—a hormone essential to turning food into energy. T1D is not because of diet like what most people think (it's one of those things that the doctor's just haven't fully figured out... yet). That's where JDRF and the support from you comes in to help!
There is no cure (yet) or any known cause for T1D. Jada's life has changed but she is blessed to be alive. Jada and her family pray everyday that a cure is found for the condition, and it seems the doctors and researchers are really close to developing a cure.
Jada is hoping that a cure is found for the many people, like herself, that are currently managing the condition today. She is hoping that with the help of her family and people like YOU, who are pledging support to JDRF, a cure is found within her lifetime.

By making a donation to the #JadasJellyBeans T-shirt fundraiser TODAY, you help Jada and you also help fund research that impacts the lives of the millions of children, adults, and families challenged by T1D every day.
With your support, we will help JDRF turn Type One into Type None.
Thank you from the bottom of our hearts.

Own a business or work for a company that looks for groups to sponsor? We'd love to promote your business. Send an email inquiry and your vectored logo before September 1, 2018 to [email redacted]